_Material_
- - -
Entry 1:
DFT (ωB97M-V/def2-TZVPD) results for a cluster of 2 separate species, C2H5NO3 in total at a distorted geometry.

Results
* E_LUMO (alpha / beta): -0.6891 / -0.6870 eV
* ΔE to the lowest compared entry with this formula, charge and spin: 58.5 kcal/mol
* Kohn-Sham gap (alpha / beta): 8.79 / 8.80 eV

```
! wB97M-V def2-TZVPD RIJCOSX def2/J DEFGRID3
* xyz 0 1
O 1.75468 0.82588 -0.06147
O -0.06560 -0.24760 1.94642
O -1.73695 0.59081 0.16037
N -0.58088 -0.35417 -1.56796
C 0.17669 -0.58012 0.71207
C -0.79039 -0.04168 -0.28142
H 1.99429 1.28745 0.74036
H -0.81862 0.39822 1.91855
H -1.15730 0.11055 -2.25276
H 0.87140 -1.38157 0.53220
H 0.35267 -0.60779 -1.84635
*
```

Charges computed using Löwdin, reported in e: atom 1 (O): -0.261, atom 2 (O): 0.106, atom 3 (O): 0.073, atom 4 (N): 0.195, atom 5 (C): -0.057, atom 6 (C): -0.529, atom 7 (H): -0.047, atom 8 (H): 0.144, atom 9 (H): 0.126, atom 10 (H): 0.138, atom 11 (H): 0.113



Entry 2:
DFT (ωB97M-V/def2-TZVPD) results for a structure of composition C23H52BLiMgN3NbO9 at a distorted geometry.

Results
* E_LUMO: -9.1523 eV
* Kohn-Sham gap: 1.14 eV

```
! wB97M-V def2-TZVPD RIJCOSX def2/J DEFGRID3
* xyz 2 1
Nb 1.24535 2.03032 -3.20259
Mg 9.03155 -5.24890 3.32907
O -4.46931 7.26231 -2.64332
O -3.94462 5.35150 -3.72536
O 2.79725 -3.39706 2.17302
O -4.27227 -0.70382 0.86005
O 4.47598 2.68835 -0.30020
O -3.06198 0.74351 -0.36901
O 5.81222 -5.54658 4.82494
O -4.00391 5.40799 -1.46666
O 2.54347 4.06299 -0.84048
N -5.50899 0.14916 -3.19323
N 1.33930 -0.03731 -3.56341
N 4.02034 -3.16644 5.03580
C -7.39792 -3.17884 -2.87497
C -4.12274 5.95263 -2.71334
C 3.40880 2.26718 -2.62842
C 5.19073 -5.09125 6.03394
C 2.07774 -3.37384 3.38719
C -6.23008 -3.02483 -1.90728
C 2.23609 -0.87192 -1.28264
C -0.90982 2.01939 -3.96271
C -3.43304 2.04571 -0.93279
C -4.01682 6.50548 -0.54325
C 2.78474 -2.60632 4.51776
C -4.60370 6.09654 0.78768
C 3.84549 -4.44845 5.72645
C -5.77268 -0.62356 -2.38341
C 6.99673 -4.85043 4.50974
C 3.62302 -1.46618 -0.75843
C -4.83992 7.51892 -1.28869
C -6.09434 -1.60582 -1.34768
C 2.31050 -0.87252 -2.83591
C -3.86188 0.41648 0.69780
C 3.73494 -4.46453 2.05904
C -1.97129 1.54564 -2.93222
C -2.11342 2.52349 -1.69908
B 3.44800 3.06906 -1.21214
Li 0.98814 -0.88309 3.74450
H 7.44027 -5.33276 3.63368
H 3.30648 -4.28257 6.66273
H 1.77989 2.38209 -4.93802
H 1.77568 -4.38096 3.68758
H 5.03791 3.44987 -0.07166
H 3.33813 -0.66461 -3.25024
H 2.08180 -2.46087 5.35177
H -2.97111 1.59675 -3.46338
H -7.01689 -1.31769 -0.83727
H -2.98364 6.84335 -0.41146
H 3.71495 -1.33400 0.34539
H 4.71919 -4.14628 2.40710
H -7.47483 -4.21366 -3.21243
H 3.77882 -2.51530 -1.10243
H 1.14365 -2.83672 3.16056
H 0.72361 1.69401 -1.45647
H -5.29903 -1.59005 -0.60061
H 3.27050 -5.15322 5.11574
H 7.71619 -4.89774 5.33953
H 3.95124 2.91529 -3.36156
H 4.66212 -3.29350 4.26241
H -4.59463 6.93131 1.49009
H 1.23170 -0.29639 -4.54825
H -0.94302 1.31882 -4.85035
H 5.83900 -4.41451 6.59749
H 4.46034 -0.86361 -1.20728
H -1.26767 2.41000 -0.97255
H 3.03837 -1.60082 4.13562
H 1.45332 -1.60730 -0.95994
H -1.82634 0.48533 -2.62031
H -4.29600 1.91744 -1.63024
H 5.01881 -5.97513 6.65214
H 3.82839 -4.71112 1.00150
H -3.68223 2.75895 -0.10136
H 4.00392 1.33770 -2.46910
H 2.90987 4.49217 -0.04295
H 6.78835 -3.80505 4.25476
H -8.34167 -2.90870 -2.39592
H 2.13156 0.12095 -0.79017
- - -
_Job_
Now write out the lines above up to the one that holds "4.47598 2.68835", that line included.
_Done_
Entry 1:
DFT (ωB97M-V/def2-TZVPD) results for a cluster of 2 separate species, C2H5NO3 in total at a distorted geometry.

Results
* E_LUMO (alpha / beta): -0.6891 / -0.6870 eV
* ΔE to the lowest compared entry with this formula, charge and spin: 58.5 kcal/mol
* Kohn-Sham gap (alpha / beta): 8.79 / 8.80 eV

```
! wB97M-V def2-TZVPD RIJCOSX def2/J DEFGRID3
* xyz 0 1
O 1.75468 0.82588 -0.06147
O -0.06560 -0.24760 1.94642
O -1.73695 0.59081 0.16037
N -0.58088 -0.35417 -1.56796
C 0.17669 -0.58012 0.71207
C -0.79039 -0.04168 -0.28142
H 1.99429 1.28745 0.74036
H -0.81862 0.39822 1.91855
H -1.15730 0.11055 -2.25276
H 0.87140 -1.38157 0.53220
H 0.35267 -0.60779 -1.84635
*
```

Charges computed using Löwdin, reported in e: atom 1 (O): -0.261, atom 2 (O): 0.106, atom 3 (O): 0.073, atom 4 (N): 0.195, atom 5 (C): -0.057, atom 6 (C): -0.529, atom 7 (H): -0.047, atom 8 (H): 0.144, atom 9 (H): 0.126, atom 10 (H): 0.138, atom 11 (H): 0.113



Entry 2:
DFT (ωB97M-V/def2-TZVPD) results for a structure of composition C23H52BLiMgN3NbO9 at a distorted geometry.

Results
* E_LUMO: -9.1523 eV
* Kohn-Sham gap: 1.14 eV

```
! wB97M-V def2-TZVPD RIJCOSX def2/J DEFGRID3
* xyz 2 1
Nb 1.24535 2.03032 -3.20259
Mg 9.03155 -5.24890 3.32907
O -4.46931 7.26231 -2.64332
O -3.94462 5.35150 -3.72536
O 2.79725 -3.39706 2.17302
O -4.27227 -0.70382 0.86005
O 4.47598 2.68835 -0.30020